Data =
~~~
Record 1
K3SnBi3: theoretical powder XRD pattern (copper Kα), based on a structure optimized by DFT (GGA-PBE).

Structural model:
a = 12.8959 Å, b = 5.7507 Å, c = 15.9691 Å
α = 90.00°, β = 108.40°, γ = 90.00°
Space group C2/m (No. 12)
Inequivalent atoms, fractional coordinates:
K  0.0200  0.0000  0.3785 [4 per cell]
K  0.0964  0.0000  0.9195 [4 per cell]
K  0.2253  0.0000  0.2199 [4 per cell]
Sn  0.2335  0.5000  0.3979 [4 per cell]
Bi  0.0239  0.5000  0.2349 [4 per cell]
Bi  0.1094  0.5000  0.0740 [4 per cell]
Bi  0.1297  0.5000  0.5464 [4 per cell]

Principal peaks in the range 2θ from 5° to 70°, low angle first:
hkl, Position (°2θ), I (rel.)
2 0 -1, 13.79, 26
1 1 0, 17.04, 100
2 0 2, 21.35, 24
2 0 -4, 23.40, 32
1 1 -4, 27.19, 41
3 1 -4, 30.87, 41
0 2 0, 31.10, 48
3 1 2, 32.05, 78

Record 2
KSn4Bi: theoretical powder XRD pattern (copper Kα), based on a structure optimized by DFT (GGA-PBE).

Structural model:
a = 9.0375 Å, b = 9.0375 Å, c = 9.0375 Å
α = 90.00°, β = 90.00°, γ = 90.00°
Space group F-43m (No. 216)
Inequivalent atoms, fractional coordinates:
K  0.0000  0.0000  0.0000 [4 per cell]
Sn  0.1243  0.1243  0.3757 [16 per cell]
Bi  0.2500  0.2500  0.7500 [4 per cell]

Principal peaks in the range 2θ from 5° to 70°, low angle first:
hkl, Position (°2θ), I (rel.)
1 1 1, 16.99, 16
2 2 0, 27.92, 25
3 1 1, 32.87, 100
2 2 2, 34.37, 41
3 3 3, 52.62, 36
4 4 0, 57.70, 29
5 3 3, 68.02, 13
6 2 2, 68.92, 18

Record 3
KSn6Bi2: theoretical powder XRD pattern (copper Kα), based on a structure optimized by DFT (GGA-PBE).

Structural model:
a = 5.3797 Å, b = 5.3797 Å, c = 10.4904 Å
α = 90.00°, β = 90.00°, γ = 90.00°
Space group P4/mmm (No. 123)
Inequivalent atoms, fractional coordinates:
K  0.0000  0.0000  0.0000 [1 per cell]
Sn  0.0000  0.0000  0.5000 [1 per cell]
Sn  0.0000  0.5000  0.3208 [4 per cell]
Sn  0.5000  0.5000  0.5000 [1 per cell]
Bi  0.5000  0.5000  0.1531 [2 per cell]

Principal peaks in the range 2θ from 5° to 70°, low angle first:
hkl, Position (°2θ), I (rel.)
1 0 0, 16.48, 35
1 1 2, 29.00, 28
1 0 3, 30.49, 24
2 0 0, 33.31, 68
1 1 3, 34.85, 100
2 2 0, 47.82, 25
3 1 3, 60.52, 43
2 0 6, 63.46, 18
~~~

Exercise =
Type out all of the rows earlier on word for word, please.

Done =
Record 1
K3SnBi3: theoretical powder XRD pattern (copper Kα), based on a structure optimized by DFT (GGA-PBE).

Structural model:
a = 12.8959 Å, b = 5.7507 Å, c = 15.9691 Å
α = 90.00°, β = 108.40°, γ = 90.00°
Space group C2/m (No. 12)
Inequivalent atoms, fractional coordinates:
K  0.0200  0.0000  0.3785 [4 per cell]
K  0.0964  0.0000  0.9195 [4 per cell]
K  0.2253  0.0000  0.2199 [4 per cell]
Sn  0.2335  0.5000  0.3979 [4 per cell]
Bi  0.0239  0.5000  0.2349 [4 per cell]
Bi  0.1094  0.5000  0.0740 [4 per cell]
Bi  0.1297  0.5000  0.5464 [4 per cell]

Principal peaks in the range 2θ from 5° to 70°, low angle first:
hkl, Position (°2θ), I (rel.)
2 0 -1, 13.79, 26
1 1 0, 17.04, 100
2 0 2, 21.35, 24
2 0 -4, 23.40, 32
1 1 -4, 27.19, 41
3 1 -4, 30.87, 41
0 2 0, 31.10, 48
3 1 2, 32.05, 78

Record 2
KSn4Bi: theoretical powder XRD pattern (copper Kα), based on a structure optimized by DFT (GGA-PBE).

Structural model:
a = 9.0375 Å, b = 9.0375 Å, c = 9.0375 Å
α = 90.00°, β = 90.00°, γ = 90.00°
Space group F-43m (No. 216)
Inequivalent atoms, fractional coordinates:
K  0.0000  0.0000  0.0000 [4 per cell]
Sn  0.1243  0.1243  0.3757 [16 per cell]
Bi  0.2500  0.2500  0.7500 [4 per cell]

Principal peaks in the range 2θ from 5° to 70°, low angle first:
hkl, Position (°2θ), I (rel.)
1 1 1, 16.99, 16
2 2 0, 27.92, 25
3 1 1, 32.87, 100
2 2 2, 34.37, 41
3 3 3, 52.62, 36
4 4 0, 57.70, 29
5 3 3, 68.02, 13
6 2 2, 68.92, 18

Record 3
KSn6Bi2: theoretical powder XRD pattern (copper Kα), based on a structure optimized by DFT (GGA-PBE).

Structural model:
a = 5.3797 Å, b = 5.3797 Å, c = 10.4904 Å
α = 90.00°, β = 90.00°, γ = 90.00°
Space group P4/mmm (No. 123)
Inequivalent atoms, fractional coordinates:
K  0.0000  0.0000  0.0000 [1 per cell]
Sn  0.0000  0.0000  0.5000 [1 per cell]
Sn  0.0000  0.5000  0.3208 [4 per cell]
Sn  0.5000  0.5000  0.5000 [1 per cell]
Bi  0.5000  0.5000  0.1531 [2 per cell]

Principal peaks in the range 2θ from 5° to 70°, low angle first:
hkl, Position (°2θ), I (rel.)
1 0 0, 16.48, 35
1 1 2, 29.00, 28
1 0 3, 30.49, 24
2 0 0, 33.31, 68
1 1 3, 34.85, 100
2 2 0, 47.82, 25
3 1 3, 60.52, 43
2 0 6, 63.46, 18